Activity =
Type out the notes below from the first line to the one with "6.238 0.133" with every line break kept, please.

Source =
____________
[1]
First-principles (PBE) data for crystalline Ag2F at its relaxed geometry, as listed in Materials Project. Values from VASP.

```
&SYSTEM
  ibrav = 0, nat = 3, ntyp = 2
/
ATOMIC_SPECIES
Ag 107.87 Ag.upf
F 19.00 F.upf
CELL_PARAMETERS angstrom
3.057 0.000 0.000
-1.529 2.648 0.000
0.000 0.000 5.795
ATOMIC_POSITIONS angstrom
Ag 0.000 1.765 1.781
Ag 1.529 0.883 4.013
F 0.000 0.000 0.000
```

Output
Space group = P-3m1 (164)
Calculated density = 8.310 Mg/m³
DFT formation energy = -2.57 eV per formula unit

=====

[2]
First-principles (PBE) data for crystalline Ag3F at its relaxed geometry, as listed in Materials Project. Values from VASP.

```
&SYSTEM
  ibrav = 0, nat = 8, ntyp = 2
/
ATOMIC_SPECIES
Ag 107.87 Ag.upf
F 19.00 F.upf
CELL_PARAMETERS angstrom
5.809 0.000 0.000
-2.905 5.031 0.000
0.000 0.000 4.576
ATOMIC_POSITIONS angstrom
Ag 0.000 1.684 1.144
Ag -1.447 4.189 1.144
Ag 1.458 0.842 3.432
Ag 1.447 4.189 1.144
Ag 4.351 0.842 3.432
Ag 2.905 3.347 3.432
F 0.000 3.354 3.432
F 2.905 1.677 1.144
```

Output
Space group = P6_3/mmc (194)
Calculated density = 8.506 Mg/m³
DFT formation energy = -1.69 eV per formula unit
Total magnetization = 0.00 μB per atom

=====

[3]
First-principles (PBE) data for crystalline RbGaAgF6 at its relaxed geometry, as listed in Materials Project. Values from VASP.

```
&SYSTEM
  ibrav = 0, nat = 36, ntyp = 4
/
ATOMIC_SPECIES
Rb 85.47 Rb.upf
Ga 69.72 Ga.upf
Ag 107.87 Ag.upf
F 19.00 F.upf
CELL_PARAMETERS angstrom
7.259 0.000 0.000
0.000 7.664 0.000
0.000 0.000 10.601
ATOMIC_POSITIONS angstrom
Rb 0.118 1.916 1.420
Rb 3.511 5.748 6.721
Rb 3.748 1.916 3.880
Rb 7.140 5.748 9.180
Ga 0.000 0.000 5.300
Ga 0.000 3.832 5.300
Ga 3.629 0.000 0.000
Ga 3.629 3.832 0.000
Ag 1.538 1.916 7.968
Ag 2.091 5.748 2.668
Ag 5.167 1.916 7.933
Ag 5.721 5.748 2.632
F 0.291 5.748 1.599
F 0.379 1.916 5.252
F 1.021 3.965 6.921
F 1.021 7.532 6.921
F 1.586 4.098 4.300
F 1.586 7.398 4.300
F 2.043 0.266 9.600
F 2.043 3.566 9.600
F 2.608 0.133 1.621
F 2.608 3.700 1.621
F 3.251 5.748 10.552
F 3.338 1.916 6.900
F 3.920 5.748 3.701
F 4.008 1.916 0.048
F 4.650 3.965 8.980
F 4.650 7.532 8.980
F 5.215 4.098 1.001
F 5.215 7.398 1.001
F 5.673 0.266 6.301
F 5.673 3.566 6.301
F 6.238 0.133 3.679
F 6.238 3.700 3.679
F 6.880 5.748 5.349
F 6.968 1.916 9.001
```

Output
Space group = Pnma (62)
Calculated density = 4.247 Mg/m³
DFT formation energy = -22.43 eV per formula unit
Total magnetization = 0.11 μB per atom

=====

[4]
First-principles (PBE) data for crystalline Ag2H2IOF at its relaxed geometry, as listed in Materials Project. Values from VASP.

```
&SYSTEM
  ibrav = 0, nat = 14, ntyp = 5
/
ATOMIC_SPECIES
Ag 107.87 Ag.upf
H 1.01 H.upf
I 126.90 I.upf
O 16.00 O.upf
F 19.00 F.upf
CELL_PARAMETERS angstrom
4.861 0.000 0.000
0.000 7.907 0.000
-0.135 0.000 6.504
ATOMIC_POSITIONS angstrom
Ag -0.029 0.000 1.808
Ag 0.069 4.255 1.913
Ag 4.656 0.302 4.591
Ag 4.755 3.954 4.696
H 1.287 6.363 6.428
H 2.019 7.847 6.446
H 2.706 3.893 0.058
H 3.439 2.409 0.075
I 1.475 2.086 3.222
I 3.250 6.039 3.281
O 1.132 7.357 6.434
O 3.593 3.404 0.069
F 1.412 4.787 0.016
F 3.314 0.834 6.487
```

Output
Space group = P2_1 (4)
Calculated density = 5.044 Mg/m³
Largest piezoelectric modulus = 0.151 C/m²
DFT formation energy = -6.97 eV per formula unit
Total magnetization = 0.00 μB per atom

=====

[5]
First-principles (PBE) data for crystalline AgH12N4F at its relaxed geometry, as listed in Materials Project. Values from VASP.

```
&SYSTEM
  ibrav = 0, nat = 72, ntyp = 4
/
ATOMIC_SPECIES
Ag 107.87 Ag.upf
H 1.01 H.upf
N 14.01 N.upf
F 19.00 F.upf
CELL_PARAMETERS angstrom
7.077 0.000 0.000
0.000 13.851 0.000
0.000 0.000 6.875
ATOMIC_POSITIONS angstrom
Ag 0.000 0.000 0.000
Ag 0.000 6.925 3.438
Ag 3.538 0.000 0.000
Ag 3.538 6.925 3.438
H 0.187 2.164 2.419
H 0.187 4.761 1.019
H 0.437 2.512 5.957
H 0.437 4.413 4.356
H 0.796 9.468 3.661
H 0.796 11.308 6.652
H 0.896 0.788 2.959
H 0.896 6.138 0.478
H 1.101 8.911 2.110
H 1.101 11.865 1.328
H 1.336 2.248 3.609
H 1.336 4.677 6.704
____________

Solution =
[1]
First-principles (PBE) data for crystalline Ag2F at its relaxed geometry, as listed in Materials Project. Values from VASP.

```
&SYSTEM
  ibrav = 0, nat = 3, ntyp = 2
/
ATOMIC_SPECIES
Ag 107.87 Ag.upf
F 19.00 F.upf
CELL_PARAMETERS angstrom
3.057 0.000 0.000
-1.529 2.648 0.000
0.000 0.000 5.795
ATOMIC_POSITIONS angstrom
Ag 0.000 1.765 1.781
Ag 1.529 0.883 4.013
F 0.000 0.000 0.000
```

Output
Space group = P-3m1 (164)
Calculated density = 8.310 Mg/m³
DFT formation energy = -2.57 eV per formula unit

=====

[2]
First-principles (PBE) data for crystalline Ag3F at its relaxed geometry, as listed in Materials Project. Values from VASP.

```
&SYSTEM
  ibrav = 0, nat = 8, ntyp = 2
/
ATOMIC_SPECIES
Ag 107.87 Ag.upf
F 19.00 F.upf
CELL_PARAMETERS angstrom
5.809 0.000 0.000
-2.905 5.031 0.000
0.000 0.000 4.576
ATOMIC_POSITIONS angstrom
Ag 0.000 1.684 1.144
Ag -1.447 4.189 1.144
Ag 1.458 0.842 3.432
Ag 1.447 4.189 1.144
Ag 4.351 0.842 3.432
Ag 2.905 3.347 3.432
F 0.000 3.354 3.432
F 2.905 1.677 1.144
```

Output
Space group = P6_3/mmc (194)
Calculated density = 8.506 Mg/m³
DFT formation energy = -1.69 eV per formula unit
Total magnetization = 0.00 μB per atom

=====

[3]
First-principles (PBE) data for crystalline RbGaAgF6 at its relaxed geometry, as listed in Materials Project. Values from VASP.

```
&SYSTEM
  ibrav = 0, nat = 36, ntyp = 4
/
ATOMIC_SPECIES
Rb 85.47 Rb.upf
Ga 69.72 Ga.upf
Ag 107.87 Ag.upf
F 19.00 F.upf
CELL_PARAMETERS angstrom
7.259 0.000 0.000
0.000 7.664 0.000
0.000 0.000 10.601
ATOMIC_POSITIONS angstrom
Rb 0.118 1.916 1.420
Rb 3.511 5.748 6.721
Rb 3.748 1.916 3.880
Rb 7.140 5.748 9.180
Ga 0.000 0.000 5.300
Ga 0.000 3.832 5.300
Ga 3.629 0.000 0.000
Ga 3.629 3.832 0.000
Ag 1.538 1.916 7.968
Ag 2.091 5.748 2.668
Ag 5.167 1.916 7.933
Ag 5.721 5.748 2.632
F 0.291 5.748 1.599
F 0.379 1.916 5.252
F 1.021 3.965 6.921
F 1.021 7.532 6.921
F 1.586 4.098 4.300
F 1.586 7.398 4.300
F 2.043 0.266 9.600
F 2.043 3.566 9.600
F 2.608 0.133 1.621
F 2.608 3.700 1.621
F 3.251 5.748 10.552
F 3.338 1.916 6.900
F 3.920 5.748 3.701
F 4.008 1.916 0.048
F 4.650 3.965 8.980
F 4.650 7.532 8.980
F 5.215 4.098 1.001
F 5.215 7.398 1.001
F 5.673 0.266 6.301
F 5.673 3.566 6.301
F 6.238 0.133 3.679